Colorado The Black Canyon of the Gunnison River. In the last five years the Black Canyon has become one of Colorado’s most important areas. All five of the state’s VI big-wall climbs are found here, as well as many Grade IV and V free climbs. In the early 1970s major big-wall routes were done on the Painted Wall: the Forrest-Walker and the Dragon routes. Prior to 1976, all the routes on the 2000-foot North Chasm View Wall were predominantly artificial. The Cruise (NCCS V, F10+), a free version of a 1964 climb by and Larry Dalke, was the first major free climb in the Black Canyon, accomplished in May, 1976 by Earl Wiggins and Jim Dunn. North Chasm View Wall has been the primary focus for recent exploration. Following the first free ascent of the Cruise came more free climbs: A Movable Feast (F11) by Steve Hong and me, the Journey Home (F10) by Bryan Becker and me and the Goss-Logan route, done all-free by Leonard Coyne and Ed Russell, another F 11 climb. All the Arêtes were climbed free, the Northern and Southern Arêtes of the Painted Wall, the Porcelain Arête, the Hooker and Diagonal Wall, as well as the central face of South Chasm View Wall. In short, within the past five years all the major features of the Black Canyon have been free-climbed in one-day ascents, in traditional style, “with a rope, a rack and the shirt on your back.” Aid-climbing was not entirely shelved, however. During their epic ascent of High and Dry (V, F 10, A5), Earl Wiggins and Harvey Miller endured broken drill bits, 30-foot throws, lassos, and a diet of chapstick to lubricate their parched mouths. Miller had another good adventure with Steve Hong on Air City on North Chasm View Wall when he was forced to bivouac in a T-shirt just a stone’s throw beneath the north rim. On the Painted Wall local climbers John Pearson, Jim Newberry, Tom Pulaski and John Rosholt climbed another major new line, Journey through M irkw ood (V, F9, A3). It is fair to say that most of the new Black Canyon climbs are free climbs. Not all are F 10 and F11. Climbs such as Newberry’s Slabs (F 8 ), Cimarron Slabs (F7) by Sue Patenaude and me, and the Casual Route (F8) by Newberry, Charlie Pitts, Doug Scott and Pete Thurston are all popular. On South Chasm View Wall the Mirror Wall (IV, F10) has some superb finger cracks; an old Pat Ament- Roger Briggs climb, it was done free by Becker and me. Nearby is the Cenotaph Corner of the Black Canyon: Black Jack (F10− ), a perfect five- dihedral first done by Leonard Coyne and Dennis Jackson. On

<<<
No. 1
Density functional theory data (ωB97M-V/def2-TZVPD) for 5 unconnected molecules or ions with the total composition C21H51O9PS2 at a distorted geometry.

The molar mass is 542.7 u. As for the SMILES: C[C@@H]1COS(=O)(=O)C[C@H]1P(O)(O)=S.CCOCC.CCOCC.CCOCC.CCOCC. The HOMO energy comes out at -9.25 eV. The gap between HOMO and LUMO comes out at 9.7 eV.

```
! wB97M-V def2-TZVPD RIJCOSX def2/J DEFGRID3
* xyz 0 1
C -2.323 1.761 -4.061
C -1.859 0.326 -4.055
C -1.611 -0.192 -5.427
O -2.748 -0.117 -6.290
S -4.061 -0.862 -5.812
O -5.148 -0.040 -6.208
O -4.063 -2.211 -6.270
C -4.061 -0.918 -4.021
C -2.779 -0.572 -3.276
P -1.916 -2.071 -2.652
O -2.623 -3.350 -3.308
O -0.441 -2.112 -3.252
S -1.904 -2.131 -0.722
H -1.871 2.279 -4.871
H -3.386 1.844 -4.124
H -2.016 2.216 -3.150
H -0.906 0.307 -3.581
H -1.190 -1.176 -5.419
H -0.879 0.433 -5.874
H -4.392 -1.899 -3.797
H -4.825 -0.240 -3.747
H -3.070 -0.070 -2.390
H -2.798 -3.179 -4.240
H 0.163 -2.101 -2.512
C -1.513 -1.202 3.164
C -0.217 -1.435 2.408
O 0.497 -0.250 2.113
C 0.897 0.525 3.224
C 1.806 -0.212 4.190
H -2.162 -0.528 2.605
H -2.035 -2.148 3.308
H -1.343 -0.764 4.149
H -0.436 -1.872 1.435
H 0.421 -2.148 2.945
H 0.019 0.925 3.747
H 1.423 1.382 2.802
H 1.318 -1.075 4.641
H 2.117 0.451 4.997
H 2.697 -0.572 3.675
C 3.872 -3.528 8.156
C 2.549 -3.128 7.527
O 2.583 -3.035 6.117
C 2.921 -4.219 5.421
C 1.973 -5.379 5.669
H 4.656 -2.827 7.872
H 3.784 -3.530 9.242
H 4.189 -4.525 7.849
H 2.271 -2.131 7.869
H 1.750 -3.805 7.848
H 3.954 -4.511 5.642
H 2.892 -3.944 4.368
H 1.974 -5.696 6.712
H 2.266 -6.235 5.062
H 0.953 -5.100 5.406
C -1.344 3.061 1.438
C -0.952 4.042 0.348
O -1.759 3.968 -0.812
C -3.135 4.231 -0.608
C -3.427 5.612 -0.049
H -1.310 2.038 1.061
H -0.661 3.140 2.282
H -2.353 3.246 1.811
H 0.060 3.823 0.010
H -0.939 5.067 0.736
H -3.583 3.457 0.026
H -3.593 4.136 -1.591
H -2.996 5.754 0.942
H -4.503 5.761 0.033
H -3.019 6.382 -0.704
C 3.674 2.968 -2.809
C 2.414 2.150 -3.032
O 2.217 1.746 -4.376
C 3.211 0.922 -4.949
C 3.386 -0.413 -4.249
H 3.668 3.855 -3.442
H 3.734 3.282 -1.768
H 4.577 2.401 -3.036
H 1.541 2.753 -2.784
H 2.395 1.281 -2.364
H 4.164 1.458 -5.018
H 2.877 0.746 -5.970
H 3.726 -0.302 -3.219
H 4.121 -1.019 -4.777
H 2.440 -0.956 -4.231
*
```



No. 2
Density functional theory data (ωB97M-V/def2-TZVPD) for a molecular structure, C44H58N5O4ScSi.

The molar mass is 794.0 u. The HOMO energy comes out at -7.80 eV. The gap between HOMO and LUMO comes out at 7.8 eV.

```
! wB97M-V def2-TZVPD RIJCOSX def2/J DEFGRID3
* xyz 0 1
Sc -0.103 0.019 -0.354
C -2.776 -3.104 -2.864
Si -2.686 -1.560 -1.803
C -4.425 -1.366 -1.163
C -2.367 0.013 -2.804
N -1.348 -1.610 -0.696
C -0.988 -2.707 0.085
C -1.783 -3.844 0.270
C -1.361 -4.924 1.031
C -0.120 -4.902 1.645
C 0.695 -3.789 1.486
C 0.260 -2.732 0.720
O 1.067 -1.574 0.520
C 2.429 -1.703 0.865
C 3.288 -2.126 -0.129
C 4.623 -2.326 0.183
C 5.070 -2.124 1.484
C 4.183 -1.687 2.458
C 2.849 -1.447 2.150
H -3.571 -3.763 -2.497
H -1.844 -3.673 -2.868
>>>
North Chasm View Wall, many of the finest climbs have been pioneered within the last two years. Perhaps the most popular free climb on the wall is now the Scenic Cruise (V, F 10+), a four-pitch variation of the Cruise, put up by Joe Kaelin and me in the spring of 1979. In two short years, many repeats have been made, including a phenomenal unroped solo by Earl Wiggins in October, 1979. Wiggins, who had climbed the route once before, completed the 2000-foot, 14-pitch route in a scant hour and a half. Jim Dunn, who free-climbed the Cruise with Wiggins, also has a long-term interest in the canyon. After Dunn and Dean Tschappat made the first ascent of the Eighth Voyage of Sinbad on N orth Chasm in the early 1970s, repeated attempts were made to push the climb free. In 1979 Leonard Coyne and Ken Sims were able to link together a combination of two climbs to end up with the A ir Voyage (V, F 1 1+ ) . A year later, perseverence paid off and Dunn and Coyne finally free- climbed all of the original Eighth Voyage of Sinbad. With multiple leads of F 11, some loose rock and the ever-present chance of being benighted, the Eighth Voyage certainly ranks as one of Colorado’s most desperate free climbs. Just prior to that accomplishment, Jim Dunn and Peter Gallagher free-climbed a companion route, the Stoned Oven (V, F11+), using a few variations en route. They had one close call when, about ten pitches up, Gallagher was hit squarely on the helmet by a sizeable rock. In 1980 two new Grade VI big-wall climbs were added in the Black Canyon: Hallucination Wall (VI, F11, A5) and Wild Bills’ Wall (VI, F9, A5). The Hallucination Wall is the featureless expanse of rock to the west of the Nose of North Chasm View Wall. The Nose (VI, F10, A5) was climbed in a five-day push in April of 1977 by Wiggins and Becker and remains unrepeated. A year later, Becker returned to the canyon and made a roped solo ascent of the Dragon route (VI, F9, A4) on the Painted Wall. What came to be known as the Hallucination Wall because of the improbability of the climb, was attempted twice in 1979 when a high point of five pitches was reached by Becker and me. On April 29, 1980 a second attempt on the Hallucination began. Becker and I reached the base of the climb only to discover that two other climbers, Ken Trout and Bruce Leila, were at our high point! Both teams joined forces, but continuously bad weather caused delays and food ran out. Trout rappelled off first to return to college and two days later the three of us followed suit after Becker had finished the first A5 pitch. Hopes were still very high for completing the climb. Local climber Jim New­ berry was recruited, and we four jümared fixed ropes back to the Fantasy Island bivouac site with another week’s worth of food. During the sub­ sequent days, still plagued by daily rain, snow and hail, I free-climbed an F11 pitch, and Becker added yet another A5 pitch, this time sky- hooking. A two-man portable ledge, or Cliff Dwelling, proved invaluable, providing much needed protection from the daily barrage of storms. A new bivy site, Happy Trails, was established below the Fear and Loathing Roofs, a band of overhangs which guards the upper portion of the climb, before a snowstorm stalled efforts for a day and a half. At this point roughly two weeks had been spent on the wall. The climb was being covered daily by radio, TV and newspapers. With only one of the climbers moving at any one time and with the luxury of the portable ledge, hours of contemplation slipped by—with the transistor radio turned on to catch the latest progress report on us! The pitches through the Fear and Loathing Roofs, while not the hardest, were easily the most spectacular. The rock overhung all the way to the river below. On the second pitch a fleck of metal lodged in my right eye. After a lot of aggravation, this was removed by a specialist in Montrose two-and-a-half days later. On the final day Newberry led the last hard pitch of aid and Leila and I completed the 14th and 15th pitches, topping out at 7:50 on May 15. We were met by patient friends. Food and four bottles of champagne were graciously sent by the Montrose Daily Press and Chan­ nel 9 News in Denver. Less than a month later, Bill Forrest and Bill March completed yet another Grade VI, Wild Bills’ Wall on the south rim on Cross Fissures. Rumor had it that Forrest was up to something “big” down in the canyon. Several attempts, including a winter one, were made on the climb, which trends right on the edge of several overhangs to a niche, over another big roof and finally up an obvious chimney sys­ tem to the rim and the Cross Fissures Overlook. In the early 1970s, Forrest made the first ascent of the Forrest-Walker route, a grade VI on the Painted Wall. Bill Forrest is anything but a newcomer to adven­ turous climbing in the canyon. When it comes to climbing in the Black Canyon, you have to be a glutton for punishment!
Unrelated to this entry: records of molecules
The following is a DFT calculation (the ωB97M-V functional and the def2-TZVPD basis) of a cluster of 8 separate species, C28H68Cl2FN8O10P2 in total.

```
119
Properties=species:S:1:pos:R:3:mulliken_charge:R:1
C 3.7262 -1.9716 1.9309 -0.547
C 4.4013 -2.3783 0.5698 -0.337
C 3.6084 -3.4848 -0.1890 -1.025
C 2.2648 -2.9669 -0.8143 -0.222
O 1.3089 -2.9108 0.2145 -0.237
P -0.3102 -2.8364 -0.4002 0.750
F -1.9028 -2.9230 -1.0794 -0.486
C -0.6960 -1.1902 0.5074 -1.266
Cl 0.7445 -0.0738 0.1759 -0.096
C -1.9495 -0.4179 -0.0297 0.665
C -1.8721 1.1219 0.3344 -1.288
Cl -3.4993 -0.9930 0.7639 -0.229
P -0.9344 -4.1386 1.3043 1.223
N -1.5988 -5.4703 0.7044 -1.100
O 0.4210 -4.6819 2.1587 -0.469
O -2.0789 -3.4596 2.3280 -0.515
H 3.3125 -2.8943 2.3888 0.202
H 4.4599 -1.5385 2.6424 0.161
H 2.9358 -1.2284 1.7153 0.031
H 4.4834 -1.4837 -0.0814 0.205
H 5.4119 -2.7787 0.8108 0.312
H 4.2384 -3.9281 -0.9961 0.357
H 3.4039 -4.3058 0.5291 0.283
H 2.4513 -1.9727 -1.2810 0.190
H 2.0113 -3.6678 -1.6384 0.314
H -0.0251 -4.0582 -1.1264 0.083
H 0.0951 -2.0389 -1.5434 -0.522
H -0.7341 -1.2699 1.6151 0.660
H -2.0372 -0.4423 -1.1322 0.053
H -1.5605 1.2900 1.3799 0.280
H -2.9249 1.4876 0.2657 0.383
H -1.2990 1.6997 -0.4111 0.275
H -1.6174 -5.4217 -0.3087 0.277
H 0.2417 -5.5768 2.4612 0.297
H -2.5646 -4.1942 2.7157 0.344
C 0.3329 -3.0635 -6.1775 -1.426
C 0.4158 -2.4374 -4.8081 0.954
O 1.4383 -2.4811 -4.1394 -0.634
N -0.6940 -1.8148 -4.3366 0.107
C -1.9812 -1.6650 -4.9851 -0.986
H 1.2898 -3.5205 -6.4186 0.325
H -0.4356 -3.8382 -6.1931 0.353
H 0.1117 -2.3028 -6.9285 0.374
H -0.5769 -1.4184 -3.4143 -0.102
H -2.1982 -0.6011 -5.0846 0.261
H -2.7436 -2.1251 -4.3531 0.285
H -2.0033 -2.1263 -5.9670 0.398
C 2.0687 5.1641 -2.3090 -1.281
C 1.2031 3.9384 -2.4542 0.912
O 0.1191 3.9746 -3.0217 -0.670
N 1.6659 2.7765 -1.9304 -0.047
C 2.9116 2.5379 -1.2298 -0.870
H 1.5690 6.0105 -2.7741 0.291
H 2.2274 5.3917 -1.2536 0.329
H 3.0279 5.0106 -2.8064 0.354
H 1.0375 1.9967 -2.0621 0.059
H 3.4761 1.7796 -1.7757 0.276
H 2.6805 2.1589 -0.2325 0.253
H 3.5126 3.4385 -1.1417 0.400
C 5.9937 -1.7427 5.9867 -1.257
C 6.6637 -2.5100 4.8760 0.755
O 6.1003 -3.4071 4.2718 -0.645
N 7.9445 -2.1718 4.5503 -0.166
C 8.7754 -1.1465 5.1409 -0.469
H 4.9851 -2.1266 6.1221 0.338
H 6.5392 -1.8683 6.9157 0.453
H 5.9307 -0.6845 5.7306 0.293
H 8.3261 -2.7255 3.8001 0.239
H 9.0649 -0.4345 4.3630 0.296
H 9.6781 -1.6130 5.5467 0.311
H 8.2553 -0.6199 5.9358 -0.113
C -5.2945 1.4036 -7.9628 -1.297
C -4.5985 0.7765 -6.7813 0.914
O -4.2830 -0.4048 -6.7681 -0.643
N -4.3274 1.5718 -5.7154 -0.036
C -4.6241 2.9820 -5.5480 -0.852
H -5.4425 0.6486 -8.7310 0.291
H -6.2703 1.7918 -7.6648 0.270
H -4.6845 2.2072 -8.3784 0.377
H -3.8614 1.0892 -4.9626 0.125
H -3.6895 3.5214 -5.3819 0.320
H -5.2635 3.0992 -4.6710 0.250
H -5.1267 3.3946 -6.4184 0.323
C -5.1405 2.0055 3.0605 -1.191
C -4.7710 3.4586 2.9199 0.783
O -3.7534 3.9237 3.4086 -0.661
N -5.6188 4.2605 2.2179 -0.161
C -6.8626 3.9000 1.5672 -0.798
H -4.3750 1.4952 3.6388 0.259

E d W e b s t e r